• Material:
The following is a DFT calculation (ωB97M-V/def2-TZVPD) of a molecular structure, C29H33EuN9O3S at a distorted geometry.

Last column: Mulliken charge in e.
Element x y z (Å)
Eu (-0.29, 0.49, 1.08)  0.995
C (0.00, -3.75, -1.11)  -1.136
C (-1.14, -3.18, -0.29)  0.642
C (-1.86, -2.09, -1.09)  -1.185
N (-1.21, -0.76, -1.13)  0.916
C (-1.08, -0.14, -2.28)  0.146
C (-1.80, -0.60, -3.41)  -0.752
C (-1.49, -0.57, -4.79)  -0.522
C (-0.30, -0.10, -5.36)  -0.520
C (0.68, 0.69, -4.75)  -0.831
C (0.69, 1.22, -3.46)  -0.356
C (-0.14, 1.01, -2.33)  0.940
N (-0.12, 1.75, -1.27)  0.347
C (0.44, 3.09, -1.29)  -1.820
C (1.98, 3.20, -1.02)  -0.255
C (2.37, 2.95, 0.47)  -1.365
N (2.15, 1.54, 0.81)  0.033
C (3.18, 0.71, 0.77)  0.864
C (4.53, 0.98, 0.35)  -0.520
C (5.62, 0.14, 0.50)  -1.145
C (5.88, -0.64, 1.59)  0.088
C (4.95, -1.23, 2.45)  -0.707
C (3.58, -1.29, 2.29)  -0.660
C (2.83, -0.63, 1.24)  0.503
N (1.81, -1.17, 0.60)  0.194
C (1.80, -2.58, 0.33)  -1.014
C (1.24, -2.89, -1.08)  -0.388
H (-0.26, -4.12, -2.13)  0.400
H (0.34, -4.69, -0.62)  0.340
H (-0.81, -2.77, 0.64)  -1.009
H (-1.87, -3.99, -0.06)  0.484
H (-2.87, -1.92, -0.66)  0.129
H (-1.99, -2.43, -2.14)  0.502
H (-2.74, -1.10, -3.20)  0.489
H (-2.26, -0.99, -5.48)  0.296
H (-0.09, -0.44, -6.37)  0.278
H (1.55, 0.92, -5.33)  0.378
H (1.49, 1.98, -3.33)  0.119
H (-0.08, 3.63, -0.51)  0.590
H (0.14, 3.58, -2.25)  0.505
H (2.30, 4.21, -1.40)  0.358
H (2.48, 2.50, -1.67)  0.325
H (1.77, 3.55, 1.15)  0.397
H (3.42, 3.23, 0.64)  0.546
H (4.60, 1.88, -0.23)  0.349
H (6.39, 0.17, -0.29)  0.276
H (6.94, -0.88, 1.78)  0.287
H (5.42, -1.72, 3.31)  0.291
H (3.01, -1.98, 2.91)  0.374
H (1.21, -3.10, 1.09)  0.339
H (2.82, -2.99, 0.45)  0.394
H (2.06, -3.32, -1.67)  0.508
H (1.02, -1.93, -1.58)  -0.152
N (-1.58, -3.07, 4.89)  -0.407
C (-1.57, -2.12, 3.91)  0.513
S (-0.26, -2.11, 2.84)  -0.479
N (-2.64, -1.29, 3.84)  -1.331
N (-2.65, -0.46, 2.75)  0.952
C (-3.70, 0.31, 2.70)  -0.735
C (-4.09, 1.12, 1.57)  0.760
C (-5.35, 1.77, 1.65)  -0.983
C (-5.88, 2.33, 0.49)  -0.350
C (-5.06, 2.39, -0.64)  -0.799
C (-3.78, 1.85, -0.59)  -0.154
N (-3.25, 1.28, 0.49)  0.375
H (-0.88, -3.78, 4.88)  0.199
H (-2.14, -2.92, 5.73)  0.231
H (-4.37, 0.36, 3.56)  0.203
H (-5.92, 1.75, 2.56)  0.412
H (-6.85, 2.76, 0.46)  0.431
H (-5.40, 2.93, -1.53)  0.361
H (-3.12, 1.95, -1.46)  0.252
O (0.02, 1.60, 3.19)  -0.565
N (0.07, 2.95, 2.79)  0.921
O (0.48, 3.88, 3.51)  -0.577
O (-0.39, 3.11, 1.53)  -0.514

The charge is -1. For the HOMO energy (alpha / beta), the calculation gives -2.257 / -4.262 eV. For the LUMO energy (alpha / beta), the calculation gives 0.075 / 0.051 hartree. The expectation value of S² is 12.072. The calculation puts the largest force on an atom at 4.4 eV Å⁻¹. As for the multiplicity: 7. As for the gap between HOMO and LUMO (alpha / beta): 4.31 / 5.64 eV. Its energy above the lowest of the compared OMol25 structures with the same formula, charge and spin is 469.5 kJ/mol.

---

The following is a DFT calculation (ωB97M-V/def2-TZVPD) of a molecular structure, C32H34FN2O5ReS6 at a distorted geometry.

Last column: Mulliken charge in e.
Element x y z (Å)
Re (1.36, 0.26, 0.54)  -0.090
S (0.07, -0.03, 2.59)  -0.196
S (0.19, 1.78, 3.58)  -0.063
S (2.21, 2.02, 3.67)  -0.113
S (2.66, 2.17, 1.65)  -0.162
C (2.91, -2.22, 3.19)  -1.310
C (2.45, -3.35, 2.26)  1.251
C (3.27, -3.51, 0.99)  -1.673
C (0.93, -3.37, 2.05)  1.182
C (0.27, -4.29, 2.87)  -1.351
C (-1.09, -4.50, 2.82)  -1.493
C (-1.84, -3.76, 1.93)  -0.766
C (-1.24, -2.82, 1.11)  1.411
C (-2.16, -2.05, 0.18)  2.557
C (-3.36, -1.47, 0.92)  -1.419
C (-2.64, -2.93, -0.99)  -1.565
C (0.15, -2.61, 1.15)  -1.571
N (0.71, -1.68, 0.18)  1.699
C (0.64, -2.22, -1.11)  1.452
C (0.97, -3.56, -1.36)  -0.470
C (0.90, -4.12, -2.62)  -1.063
C (0.47, -3.37, -3.71)  -0.652
C (0.10, -2.05, -3.50)  -0.871
C (0.17, -1.52, -2.23)  -0.628
F (-0.32, -0.26, -2.08)  -0.134
H (3.99, -2.30, 3.35)  0.477
H (2.41, -2.31, 4.16)  0.313
H (2.71, -1.23, 2.81)  0.020
H (2.64, -4.26, 2.84)  0.508
• Job:
Set down all of the listing earlier on without additions.
• Solution:
The following is a DFT calculation (ωB97M-V/def2-TZVPD) of a molecular structure, C29H33EuN9O3S at a distorted geometry.

Last column: Mulliken charge in e.
Element x y z (Å)
Eu (-0.29, 0.49, 1.08)  0.995
C (0.00, -3.75, -1.11)  -1.136
C (-1.14, -3.18, -0.29)  0.642
C (-1.86, -2.09, -1.09)  -1.185
N (-1.21, -0.76, -1.13)  0.916
C (-1.08, -0.14, -2.28)  0.146
C (-1.80, -0.60, -3.41)  -0.752
C (-1.49, -0.57, -4.79)  -0.522
C (-0.30, -0.10, -5.36)  -0.520
C (0.68, 0.69, -4.75)  -0.831
C (0.69, 1.22, -3.46)  -0.356
C (-0.14, 1.01, -2.33)  0.940
N (-0.12, 1.75, -1.27)  0.347
C (0.44, 3.09, -1.29)  -1.820
C (1.98, 3.20, -1.02)  -0.255
C (2.37, 2.95, 0.47)  -1.365
N (2.15, 1.54, 0.81)  0.033
C (3.18, 0.71, 0.77)  0.864
C (4.53, 0.98, 0.35)  -0.520
C (5.62, 0.14, 0.50)  -1.145
C (5.88, -0.64, 1.59)  0.088
C (4.95, -1.23, 2.45)  -0.707
C (3.58, -1.29, 2.29)  -0.660
C (2.83, -0.63, 1.24)  0.503
N (1.81, -1.17, 0.60)  0.194
C (1.80, -2.58, 0.33)  -1.014
C (1.24, -2.89, -1.08)  -0.388
H (-0.26, -4.12, -2.13)  0.400
H (0.34, -4.69, -0.62)  0.340
H (-0.81, -2.77, 0.64)  -1.009
H (-1.87, -3.99, -0.06)  0.484
H (-2.87, -1.92, -0.66)  0.129
H (-1.99, -2.43, -2.14)  0.502
H (-2.74, -1.10, -3.20)  0.489
H (-2.26, -0.99, -5.48)  0.296
H (-0.09, -0.44, -6.37)  0.278
H (1.55, 0.92, -5.33)  0.378
H (1.49, 1.98, -3.33)  0.119
H (-0.08, 3.63, -0.51)  0.590
H (0.14, 3.58, -2.25)  0.505
H (2.30, 4.21, -1.40)  0.358
H (2.48, 2.50, -1.67)  0.325
H (1.77, 3.55, 1.15)  0.397
H (3.42, 3.23, 0.64)  0.546
H (4.60, 1.88, -0.23)  0.349
H (6.39, 0.17, -0.29)  0.276
H (6.94, -0.88, 1.78)  0.287
H (5.42, -1.72, 3.31)  0.291
H (3.01, -1.98, 2.91)  0.374
H (1.21, -3.10, 1.09)  0.339
H (2.82, -2.99, 0.45)  0.394
H (2.06, -3.32, -1.67)  0.508
H (1.02, -1.93, -1.58)  -0.152
N (-1.58, -3.07, 4.89)  -0.407
C (-1.57, -2.12, 3.91)  0.513
S (-0.26, -2.11, 2.84)  -0.479
N (-2.64, -1.29, 3.84)  -1.331
N (-2.65, -0.46, 2.75)  0.952
C (-3.70, 0.31, 2.70)  -0.735
C (-4.09, 1.12, 1.57)  0.760
C (-5.35, 1.77, 1.65)  -0.983
C (-5.88, 2.33, 0.49)  -0.350
C (-5.06, 2.39, -0.64)  -0.799
C (-3.78, 1.85, -0.59)  -0.154
N (-3.25, 1.28, 0.49)  0.375
H (-0.88, -3.78, 4.88)  0.199
H (-2.14, -2.92, 5.73)  0.231
H (-4.37, 0.36, 3.56)  0.203
H (-5.92, 1.75, 2.56)  0.412
H (-6.85, 2.76, 0.46)  0.431
H (-5.40, 2.93, -1.53)  0.361
H (-3.12, 1.95, -1.46)  0.252
O (0.02, 1.60, 3.19)  -0.565
N (0.07, 2.95, 2.79)  0.921
O (0.48, 3.88, 3.51)  -0.577
O (-0.39, 3.11, 1.53)  -0.514

The charge is -1. For the HOMO energy (alpha / beta), the calculation gives -2.257 / -4.262 eV. For the LUMO energy (alpha / beta), the calculation gives 0.075 / 0.051 hartree. The expectation value of S² is 12.072. The calculation puts the largest force on an atom at 4.4 eV Å⁻¹. As for the multiplicity: 7. As for the gap between HOMO and LUMO (alpha / beta): 4.31 / 5.64 eV. Its energy above the lowest of the compared OMol25 structures with the same formula, charge and spin is 469.5 kJ/mol.

---

The following is a DFT calculation (ωB97M-V/def2-TZVPD) of a molecular structure, C32H34FN2O5ReS6 at a distorted geometry.

Last column: Mulliken charge in e.
Element x y z (Å)
Re (1.36, 0.26, 0.54)  -0.090
S (0.07, -0.03, 2.59)  -0.196
S (0.19, 1.78, 3.58)  -0.063
S (2.21, 2.02, 3.67)  -0.113
S (2.66, 2.17, 1.65)  -0.162
C (2.91, -2.22, 3.19)  -1.310
C (2.45, -3.35, 2.26)  1.251
C (3.27, -3.51, 0.99)  -1.673
C (0.93, -3.37, 2.05)  1.182
C (0.27, -4.29, 2.87)  -1.351
C (-1.09, -4.50, 2.82)  -1.493
C (-1.84, -3.76, 1.93)  -0.766
C (-1.24, -2.82, 1.11)  1.411
C (-2.16, -2.05, 0.18)  2.557
C (-3.36, -1.47, 0.92)  -1.419
C (-2.64, -2.93, -0.99)  -1.565
C (0.15, -2.61, 1.15)  -1.571
N (0.71, -1.68, 0.18)  1.699
C (0.64, -2.22, -1.11)  1.452
C (0.97, -3.56, -1.36)  -0.470
C (0.90, -4.12, -2.62)  -1.063
C (0.47, -3.37, -3.71)  -0.652
C (0.10, -2.05, -3.50)  -0.871
C (0.17, -1.52, -2.23)  -0.628
F (-0.32, -0.26, -2.08)  -0.134
H (3.99, -2.30, 3.35)  0.477
H (2.41, -2.31, 4.16)  0.313
H (2.71, -1.23, 2.81)  0.020
H (2.64, -4.26, 2.84)  0.508